[Data]
- - -
A plane-wave DFT calculation with PBE was carried out for a relaxed structure of Pa4Si8Ir.

abc: 3.9355 3.9972 16.0401
angles: 90.00 90.00 90.00
Element x y z (fractional)
1 Pa 0.0000 0.0000 0.1004
2 Pa 0.0000 0.5000 0.6116
3 Pa 0.5000 0.5000 0.4013
4 Pa 0.5000 0.0000 0.8905
5 Si 0.0000 0.0000 0.4689
6 Si 0.0000 0.5000 0.9491
7 Si 0.5000 0.5000 0.0378
8 Si 0.5000 0.0000 0.5520
9 Si 0.0000 0.5000 0.2347
10 Si 0.0000 0.0000 0.7515
11 Si 0.5000 0.0000 0.2340
12 Si 0.5000 0.5000 0.7514
13 Ir 0.0000 0.0000 0.3199

Summary:
**Mass density**: 8.83 g/cm³
**Symmetry**: No. 25
**DFT total energy**: -0.548 Ry per atom
**Uncorrected formation energy**: -645 kJ/mol of formula units


#A
Compound: Li2CoW2
Source: Alexandria via LeMat-Bulk
Functional: PBE
Structure: optimized geometry

abc: 2.8143 2.8143 8.6016
angles: 80.58 80.58 90.00
Last column: magnetic moment on the atom in μB.
Fractional coordinates of all 5 atoms:
Li: 0.2500 0.7500 0.5000  0.04
Co: 0.0000 0.0000 0.0000  1.02
W: 0.6027 0.6027 0.7946  0.14
W: 0.3973 0.3973 0.2054  0.14
Li: 0.7500 0.2500 0.5000  0.04

Values from the calculation:
* SG: I4/mmm

#B
Compound: Li2CoW2
Source: Alexandria via LeMat-Bulk
Functional: PBE
Structure: optimized geometry

abc: 7.3882 7.3882 2.6262
angles: 90.00 90.00 90.00
Fractional coordinates of all 10 atoms:
Li: 0.3188 0.1812 0.5000
Co: 0.5000 0.5000 0.0000
W: 0.1184 0.3816 0.0000
Li: 0.6812 0.8188 0.5000
W: 0.8816 0.6184 0.0000
Li: 0.1812 0.6812 0.5000
Co: 0.0000 0.0000 0.0000
W: 0.6184 0.1184 0.0000
Li: 0.8188 0.3188 0.5000
W: 0.3816 0.8816 0.0000

Values from the calculation:
* SG: P4/mbm

Short version: #A is the most stable of them.

#A
Compound: Li3YCo
Source: Alexandria via LeMat-Bulk
Functional: PBE
Structure: optimized geometry

abc: 4.9476 4.9476 4.9476
angles: 90.00 90.00 90.00
Last column: magnetic moment on the atom in μB.
Fractional coordinates of all 5 atoms:
Li: 0.5000 0.0000 0.0000  -0.02
Y: 0.0000 0.0000 0.0000  -0.33
Li: 0.0000 0.0000 0.5000  -0.01
Li: 0.0000 0.5000 0.0000  -0.01
Co: 0.5000 0.5000 0.5000  0.17

Values from the calculation:
* SG: Pm-3m

#B
Compound: Li3YCo
Source: Alexandria via LeMat-Bulk
Functional: PBE
Structure: optimized geometry

abc: 4.5341 4.5341 4.5341
angles: 90.00 90.00 90.00
Fractional coordinates of all 5 atoms:
Y: 0.5000 0.5000 0.5000
Li: 0.0000 0.5000 0.0000
Li: 0.0000 0.0000 0.5000
Li: 0.5000 0.0000 0.0000
Co: 0.0000 0.0000 0.0000

Values from the calculation:
* SG: Pm-3m

Short version: #B is the most stable of them.

#A
Compound: LiZn4Co
Source: Alexandria via LeMat-Bulk
Functional: PBE
Structure: optimized geometry

abc: 2.7500 4.1682 7.1867
angles: 89.99 89.98 90.00
Fractional coordinates of all 6 atoms:
Zn: 0.3349 0.4973 0.3663
Co: 0.8348 0.9970 0.4703
Zn: 0.8341 0.4968 0.6687
Li: 0.8352 0.4980 0.0221
Zn: 0.3350 0.9976 0.1679
Zn: 0.3339 0.9969 0.7935

Values from the calculation:
* SG: Pm

#B
Compound: LiZn4Co
Source: Alexandria via LeMat-Bulk
Functional: PBE
Structure: optimized geometry

abc: 4.9530 4.9530 4.9530
angles: 60.00 60.00 60.00
Last column: magnetic moment on the atom in μB.
Fractional coordinates of all 6 atoms:
Zn: 0.3755 0.3755 0.3755  -0.01
Co: 0.7500 0.7500 0.7500  1.20
Zn: 0.3755 0.8734 0.3755  -0.01
Li: 0.0000 0.0000 0.0000  -0.01
Zn: 0.8734 0.3755 0.3755  -0.01
Zn: 0.3755 0.3755 0.8734  -0.01

Values from the calculation:
* SG: F-43m

Short version: #A is the most stable of them.

#A
Compound: Li2Zn2Co
Source: Alexandria via LeMat-Bulk
Functional: PBE
Structure: optimized geometry

abc: 6.2513 6.2513 3.8757
angles: 90.00 90.00 90.00
Last column: magnetic moment on the atom in μB.
Fractional coordinates of all 10 atoms:
Zn: 0.6441 0.1441 0.0000  -0.01
Li: 0.3287 0.1713 0.5000  -0.01
Co: 0.0000 0.0000 0.0000  0.92
Zn: 0.8559 0.6441 0.0000  -0.02
Li: 0.8287 0.3287 0.5000  -0.01
Li: 0.1713 0.6713 0.5000  -0.01
Zn: 0.3559 0.8559 0.0000  -0.01
Co: 0.5000 0.5000 0.0000  0.92
Zn: 0.1441 0.3559 0.0000  -0.02
Li: 0.6713 0.8287 0.5000  -0.01

Values from the calculation:
- - -
[Exercise]
Set down the whole of the calculation results further up word for word.
[Here it is]
A plane-wave DFT calculation with PBE was carried out for a relaxed structure of Pa4Si8Ir.

abc: 3.9355 3.9972 16.0401
angles: 90.00 90.00 90.00
Element x y z (fractional)
1 Pa 0.0000 0.0000 0.1004
2 Pa 0.0000 0.5000 0.6116
3 Pa 0.5000 0.5000 0.4013
4 Pa 0.5000 0.0000 0.8905
5 Si 0.0000 0.0000 0.4689
6 Si 0.0000 0.5000 0.9491
7 Si 0.5000 0.5000 0.0378
8 Si 0.5000 0.0000 0.5520
9 Si 0.0000 0.5000 0.2347
10 Si 0.0000 0.0000 0.7515
11 Si 0.5000 0.0000 0.2340
12 Si 0.5000 0.5000 0.7514
13 Ir 0.0000 0.0000 0.3199

Summary:
**Mass density**: 8.83 g/cm³
**Symmetry**: No. 25
**DFT total energy**: -0.548 Ry per atom
**Uncorrected formation energy**: -645 kJ/mol of formula units


#A
Compound: Li2CoW2
Source: Alexandria via LeMat-Bulk
Functional: PBE
Structure: optimized geometry

abc: 2.8143 2.8143 8.6016
angles: 80.58 80.58 90.00
Last column: magnetic moment on the atom in μB.
Fractional coordinates of all 5 atoms:
Li: 0.2500 0.7500 0.5000  0.04
Co: 0.0000 0.0000 0.0000  1.02
W: 0.6027 0.6027 0.7946  0.14
W: 0.3973 0.3973 0.2054  0.14
Li: 0.7500 0.2500 0.5000  0.04

Values from the calculation:
* SG: I4/mmm

#B
Compound: Li2CoW2
Source: Alexandria via LeMat-Bulk
Functional: PBE
Structure: optimized geometry

abc: 7.3882 7.3882 2.6262
angles: 90.00 90.00 90.00
Fractional coordinates of all 10 atoms:
Li: 0.3188 0.1812 0.5000
Co: 0.5000 0.5000 0.0000
W: 0.1184 0.3816 0.0000
Li: 0.6812 0.8188 0.5000
W: 0.8816 0.6184 0.0000
Li: 0.1812 0.6812 0.5000
Co: 0.0000 0.0000 0.0000
W: 0.6184 0.1184 0.0000
Li: 0.8188 0.3188 0.5000
W: 0.3816 0.8816 0.0000

Values from the calculation:
* SG: P4/mbm

Short version: #A is the most stable of them.

#A
Compound: Li3YCo
Source: Alexandria via LeMat-Bulk
Functional: PBE
Structure: optimized geometry

abc: 4.9476 4.9476 4.9476
angles: 90.00 90.00 90.00
Last column: magnetic moment on the atom in μB.
Fractional coordinates of all 5 atoms:
Li: 0.5000 0.0000 0.0000  -0.02
Y: 0.0000 0.0000 0.0000  -0.33
Li: 0.0000 0.0000 0.5000  -0.01
Li: 0.0000 0.5000 0.0000  -0.01
Co: 0.5000 0.5000 0.5000  0.17

Values from the calculation:
* SG: Pm-3m

#B
Compound: Li3YCo
Source: Alexandria via LeMat-Bulk
Functional: PBE
Structure: optimized geometry

abc: 4.5341 4.5341 4.5341
angles: 90.00 90.00 90.00
Fractional coordinates of all 5 atoms:
Y: 0.5000 0.5000 0.5000
Li: 0.0000 0.5000 0.0000
Li: 0.0000 0.0000 0.5000
Li: 0.5000 0.0000 0.0000
Co: 0.0000 0.0000 0.0000

Values from the calculation:
* SG: Pm-3m

Short version: #B is the most stable of them.

#A
Compound: LiZn4Co
Source: Alexandria via LeMat-Bulk
Functional: PBE
Structure: optimized geometry

abc: 2.7500 4.1682 7.1867
angles: 89.99 89.98 90.00
Fractional coordinates of all 6 atoms:
Zn: 0.3349 0.4973 0.3663
Co: 0.8348 0.9970 0.4703
Zn: 0.8341 0.4968 0.6687
Li: 0.8352 0.4980 0.0221
Zn: 0.3350 0.9976 0.1679
Zn: 0.3339 0.9969 0.7935

Values from the calculation:
* SG: Pm

#B
Compound: LiZn4Co
Source: Alexandria via LeMat-Bulk
Functional: PBE
Structure: optimized geometry

abc: 4.9530 4.9530 4.9530
angles: 60.00 60.00 60.00
Last column: magnetic moment on the atom in μB.
Fractional coordinates of all 6 atoms:
Zn: 0.3755 0.3755 0.3755  -0.01
Co: 0.7500 0.7500 0.7500  1.20
Zn: 0.3755 0.8734 0.3755  -0.01
Li: 0.0000 0.0000 0.0000  -0.01
Zn: 0.8734 0.3755 0.3755  -0.01
Zn: 0.3755 0.3755 0.8734  -0.01

Values from the calculation:
* SG: F-43m

Short version: #A is the most stable of them.

#A
Compound: Li2Zn2Co
Source: Alexandria via LeMat-Bulk
Functional: PBE
Structure: optimized geometry

abc: 6.2513 6.2513 3.8757
angles: 90.00 90.00 90.00
Last column: magnetic moment on the atom in μB.
Fractional coordinates of all 10 atoms:
Zn: 0.6441 0.1441 0.0000  -0.01
Li: 0.3287 0.1713 0.5000  -0.01
Co: 0.0000 0.0000 0.0000  0.92
Zn: 0.8559 0.6441 0.0000  -0.02
Li: 0.8287 0.3287 0.5000  -0.01
Li: 0.1713 0.6713 0.5000  -0.01
Zn: 0.3559 0.8559 0.0000  -0.01
Co: 0.5000 0.5000 0.0000  0.92
Zn: 0.1441 0.3559 0.0000  -0.02
Li: 0.6713 0.8287 0.5000  -0.01

Values from the calculation: